What to do >
Your job: count the lines further down that contain the word "cell" and give the number alone.

Excerpt >
/*
Here is a geometry-optimized La9B3C6Br5 structure from the Materials Project. Energies are from PBE.

## Properties
E (MP2020): -6.617 eV per atom
Energy of formation: -1.05 eV/atom
Density: 5.63 g cm⁻³

a b c (Å): 3.889 7.982 33.322
angles (deg): 90.00 90.00 90.00
Sites, in units of the cell vectors:
Br: 0.000 0.673 0.098
Br: 0.000 0.214 0.500
Br: 0.500 0.574 0.798
Br: 0.000 0.426 0.298
Br: 0.500 0.786 0.000
Br: 0.500 0.327 0.402
Br: 0.500 0.327 0.598
Br: 0.000 0.426 0.702
Br: 0.000 0.673 0.902
Br: 0.500 0.574 0.202
La: 0.000 0.050 0.944
La: 0.500 0.195 0.759
La: 0.000 0.650 0.383
La: 0.500 0.549 0.500
La: 0.000 0.805 0.259
La: 0.500 0.350 0.883
La: 0.000 0.085 0.346
La: 0.000 0.650 0.617
La: 0.500 0.950 0.444
La: 0.000 0.085 0.654
La: 0.500 0.350 0.117
La: 0.500 0.950 0.556
La: 0.000 0.805 0.741
La: 0.000 0.050 0.056
La: 0.500 0.195 0.241
La: 0.000 0.451 0.000
La: 0.500 0.915 0.154
La: 0.500 0.915 0.846
C: 0.000 0.027 0.794
C: 0.500 0.865 0.375
C: 0.500 0.272 0.957
C: 0.000 0.135 0.875
C: 0.000 0.728 0.457
C: 0.500 0.973 0.706
C: 0.000 0.027 0.206
C: 0.500 0.973 0.294
C: 0.000 0.728 0.543
C: 0.500 0.865 0.625
C: 0.000 0.135 0.125
C: 0.500 0.272 0.043
B: 0.500 0.863 0.670
B: 0.500 0.227 0.000
B: 0.500 0.863 0.330
B: 0.000 0.137 0.170
B: 0.000 0.773 0.500
B: 0.000 0.137 0.830

* * * * *

No. 1
A plane-wave DFT calculation with PBE-GGA was carried out for a relaxed Na5Zr2In2SiP5O24 crystal.

Summary:
Its calculated density is 3.29 g/cm³. The formation energy is -109.833 eV/f.u. For the final energy, the calculation gives -7.02 eV per atom. As for the space group: P1 (1).

The structure in POSCAR format:
```
Na5Zr2In2SiP5O24
1.0
9.0845 0.0000 0.0000
-4.5318 7.8780 0.0000
-0.0081 -0.0267 23.1407
Na Zr In Si P O
15 6 6 3 15 72
Cartesian
0.0000 0.0000 0.0000
-1.6399 2.8428 11.5793
-2.9017 5.4289 2.0128
-0.0115 0.4723 7.6851
-2.9102 5.5382 13.5180
-0.0393 5.1890 15.4488
2.8960 0.1904 3.8630
1.6069 2.7618 17.4508
0.0236 5.7352 23.1275
1.7014 2.9048 5.7990
0.4555 5.4377 7.7287
6.1169 0.1805 9.6310
6.1496 0.1991 21.1388
4.5912 3.1032 15.4385
4.9355 2.7537 23.1047
-2.8834 5.4789 10.0892
-2.8703 5.4817 21.5228
1.5923 2.8068 13.8958
1.6448 2.8494 2.3689
6.1806 0.1650 13.0433
6.2371 0.2386 17.8326
-2.9131 5.4079 5.3628
-2.8912 5.4742 16.9652
1.6758 2.8056 20.7303
1.7307 2.8575 9.2595
6.1925 0.2216 1.5940
6.1840 0.2591 6.1463
2.9960 0.5123 23.1278
0.3396 5.1659 11.5112
7.5282 2.5161 15.4047
-1.5540 3.1417 7.7036
-4.2094 7.7837 19.2480
0.3244 0.5224 11.5174
-0.9986 2.8156 23.1064
-1.5496 7.7827 7.6699
-0.1807 5.4346 19.2394
0.3140 5.7675 3.8665
3.5479 0.2021 15.4312
2.9750 5.1199 23.1112
4.3174 2.8273 11.5662
4.8760 2.5586 3.8212
2.9976 5.7951 15.4201
4.8365 3.1349 19.2437
3.5346 5.4553 7.6757
8.8795 0.2061 3.8448
-2.1577 3.8180 8.9752
-3.9495 6.9075 20.5433
-2.2411 4.0064 15.5009
-3.7706 6.8756 3.9378
-3.5845 6.9944 11.3951
-1.9126 4.0860 22.9748
-3.5939 7.1235 18.0224
-1.7442 4.0477 6.4807
0.4880 1.3694 10.2438
-0.1449 2.5549 21.8789
0.7129 1.4793 3.6996
0.0788 2.7100 15.2882
0.9732 1.2029 12.7518
0.9300 1.2963 19.3805
-0.0958 3.1201 1.2099
-1.3163 5.2232 11.4061
-0.0024 2.9854 7.8134
-2.2530 6.8881 22.9825
-2.1858 7.1929 6.3891
-1.0250 5.2344 17.9717
-1.2343 5.6888 3.9678
-1.8461 6.8086 15.5276
-1.8453 6.8462 8.8891
-1.1063 5.6402 20.5134
2.2855 1.1993 1.3259
0.5698 4.1965 12.8380
2.2872 1.2790 7.8350
0.6847 4.1874 19.4055
0.9509 4.3651 3.6836
0.9462 4.5496 10.1521
2.7251 1.5065 15.2523
2.8052 1.4862 21.8710
0.5088 6.6238 2.5840
-0.0813 7.8452 14.1863
0.0003 7.8401 7.5974
0.6651 6.7288 19.1465
0.9418 6.3781 5.1352
4.4570 0.4342 16.6557
0.9762 6.6489 11.7091
4.6297 0.3340 0.1178
3.3087 2.6447 3.6699
2.3400 4.3761 15.2482
2.2816 4.5441 21.8875
3.4975 2.5545 10.3174
2.5859 4.2393 7.7817
3.3207 3.0027 19.3624
2.7436 4.2414 1.2140
3.4614 3.0349 12.8411
5.0286 1.6236 5.0364
2.3024 6.4282 16.6425
2.4085 6.5799 0.1437
5.2863 1.6196 11.7213
5.5220 1.7368 19.1530
2.7009 6.6558 14.1715
2.6623 6.7630 7.6054
5.4557 1.9700 2.5159
5.0988 3.9557 17.9719
*/

Written answer >
1